**Wanted**
Your job: give back all of the block further down without altering anything.

**Source**
____________
{
  "formula": "C35H58F6N2O21",
  "method": "ωB97M-V/def2-TZVPD",
  "symbols": ["C", "N", "C", "C", "C", "C", "O", "H", "H", "H", "H", "H", "H", "H", "H", "H", "H", "H", "H", "H", "H", "C", "C", "C", "O", "H", "H", "H", "H", "H", "H", "H", "C", "C", "C", "C", "C", "C", "N", "O", "C", "C", "C", "H", "H", "H", "H", "H", "H", "H", "H", "H", "H", "H", "H", "H", "H", "H", "H", "H", "H", "H", "C", "C", "O", "C", "O", "O", "F", "H", "H", "H", "C", "C", "O", "C", "O", "O", "F", "H", "H", "H", "C", "C", "O", "C", "O", "O", "F", "H", "H", "H", "C", "C", "O", "C", "O", "O", "F", "H", "H", "H", "C", "C", "O", "C", "O", "O", "F", "H", "H", "H", "C", "C", "O", "C", "O", "O", "F", "H", "H", "H"],
  "positions_angstrom": [[-4.873, -4.946, -0.393], [-3.890, -3.687, -0.330], [-2.467, -4.097, -0.772], [-4.515, -2.659, -1.275], [-3.968, -3.043, 1.169], [-3.668, -3.934, 2.458], [-4.742, -4.683, 2.561], [-4.507, -5.693, 0.311], [-4.907, -5.246, -1.440], [-5.877, -4.639, -0.099], [-1.902, -3.272, -1.206], [-2.657, -4.924, -1.457], [-1.973, -4.340, 0.169], [-4.403, -3.022, -2.296], [-3.916, -1.748, -1.283], [-5.551, -2.495, -0.978], [-4.921, -2.515, 1.158], [-3.197, -2.272, 1.138], [-3.530, -3.348, 3.367], [-2.837, -4.581, 2.175], [-4.766, -5.044, 3.450], [-1.167, 1.043, 0.218], [-1.140, -0.307, -0.616], [-0.463, -0.127, -2.019], [-0.586, -1.388, 0.089], [-0.427, 1.778, -0.097], [-1.083, 0.865, 1.290], [-2.119, 1.551, 0.061], [-2.188, -0.515, -0.832], [0.322, 0.625, -1.944], [-1.249, 0.005, -2.763], [-0.042, -1.063, -2.386], [5.062, -0.146, -0.025], [4.053, 0.548, 0.823], [3.809, -0.249, 2.156], [5.009, -0.180, 3.143], [5.124, 1.332, 3.539], [5.404, 2.265, 2.315], [4.513, 1.973, 1.116], [4.557, 2.885, 0.087], [5.120, 3.688, 2.856], [6.920, 2.202, 1.939], [2.686, 0.620, 0.129], [5.115, 0.274, -1.029], [4.769, -1.169, -0.261], [6.119, -0.200, 0.234], [2.965, 0.129, 2.733], [3.525, -1.289, 1.992], [5.962, -0.530, 2.746], [4.782, -0.871, 3.955], [5.839, 1.287, 4.360], [4.117, 1.594, 3.864], [5.481, 4.555, 2.302], [4.049, 3.767, 3.043], [5.665, 3.747, 3.799], [7.201, 1.530, 1.129], [7.332, 3.129, 1.539], [7.447, 2.114, 2.889], [2.646, 1.316, -0.709], [1.871, 0.992, 0.750], [2.379, -0.385, -0.161], [3.943, 3.470, 0.538], [1.447, -3.998, 0.157], [1.895, -3.638, -1.175], [1.767, -4.721, -2.010], [1.525, -5.839, -1.195], [1.469, -7.009, -1.582], [1.381, -5.424, 0.080], [3.096, -3.122, -1.145], [0.522, -3.638, 0.607], [2.271, -3.743, 0.824], [1.207, -2.840, -1.456], [-3.945, 1.427, -2.980], [-4.969, 1.642, -1.947], [-5.968, 0.628, -2.174], [-5.545, -0.096, -3.285], [-6.087, -1.061, -3.735], [-4.473, 0.515, -3.861], [-5.488, 2.828, -2.214], [-3.053, 0.995, -2.526], [-3.487, 2.351, -3.333], [-4.605, 1.725, -0.923], [0.776, 1.524, 3.573], [0.474, 0.014, 3.691], [-0.726, -0.039, 4.352], [-0.841, 1.134, 5.102], [-1.585, 1.335, 6.029], [-0.159, 2.156, 4.446], [1.520, -0.405, 4.487], [0.717, 1.792, 2.518], [1.772, 1.837, 3.886], [0.552, -0.501, 2.733], [1.207, 1.080, -5.104], [0.778, -0.010, -6.127], [1.297, -1.211, -5.560], [2.178, -0.895, -4.583], [2.789, -1.772, -3.950], [2.315, 0.457, -4.507], [1.389, 0.323, -7.278], [0.405, 1.267, -4.391], [1.243, 2.049, -5.602], [-0.297, -0.026, -6.310], [-4.668, 2.635, 2.696], [-3.722, 1.636, 3.265], [-3.651, 0.605, 2.296], [-4.682, 0.724, 1.503], [-5.110, -0.189, 0.758], [-5.259, 1.971, 1.611], [-4.266, 1.267, 4.420], [-4.053, 3.445, 2.302], [-5.390, 3.121, 3.353], [-2.746, 2.107, 3.376], [1.541, 3.881, -2.607], [1.364, 5.327, -3.092], [-0.047, 5.480, -3.103], [-0.684, 4.337, -2.733], [-1.892, 4.202, -2.480], [0.253, 3.398, -2.515], [1.747, 5.266, -4.373], [2.096, 3.849, -1.669], [2.118, 3.180, -3.210], [2.038, 5.993, -2.553]],
____________

**Done**
{
  "formula": "C35H58F6N2O21",
  "method": "ωB97M-V/def2-TZVPD",
  "symbols": ["C", "N", "C", "C", "C", "C", "O", "H", "H", "H", "H", "H", "H", "H", "H", "H", "H", "H", "H", "H", "H", "C", "C", "C", "O", "H", "H", "H", "H", "H", "H", "H", "C", "C", "C", "C", "C", "C", "N", "O", "C", "C", "C", "H", "H", "H", "H", "H", "H", "H", "H", "H", "H", "H", "H", "H", "H", "H", "H", "H", "H", "H", "C", "C", "O", "C", "O", "O", "F", "H", "H", "H", "C", "C", "O", "C", "O", "O", "F", "H", "H", "H", "C", "C", "O", "C", "O", "O", "F", "H", "H", "H", "C", "C", "O", "C", "O", "O", "F", "H", "H", "H", "C", "C", "O", "C", "O", "O", "F", "H", "H", "H", "C", "C", "O", "C", "O", "O", "F", "H", "H", "H"],
  "positions_angstrom": [[-4.873, -4.946, -0.393], [-3.890, -3.687, -0.330], [-2.467, -4.097, -0.772], [-4.515, -2.659, -1.275], [-3.968, -3.043, 1.169], [-3.668, -3.934, 2.458], [-4.742, -4.683, 2.561], [-4.507, -5.693, 0.311], [-4.907, -5.246, -1.440], [-5.877, -4.639, -0.099], [-1.902, -3.272, -1.206], [-2.657, -4.924, -1.457], [-1.973, -4.340, 0.169], [-4.403, -3.022, -2.296], [-3.916, -1.748, -1.283], [-5.551, -2.495, -0.978], [-4.921, -2.515, 1.158], [-3.197, -2.272, 1.138], [-3.530, -3.348, 3.367], [-2.837, -4.581, 2.175], [-4.766, -5.044, 3.450], [-1.167, 1.043, 0.218], [-1.140, -0.307, -0.616], [-0.463, -0.127, -2.019], [-0.586, -1.388, 0.089], [-0.427, 1.778, -0.097], [-1.083, 0.865, 1.290], [-2.119, 1.551, 0.061], [-2.188, -0.515, -0.832], [0.322, 0.625, -1.944], [-1.249, 0.005, -2.763], [-0.042, -1.063, -2.386], [5.062, -0.146, -0.025], [4.053, 0.548, 0.823], [3.809, -0.249, 2.156], [5.009, -0.180, 3.143], [5.124, 1.332, 3.539], [5.404, 2.265, 2.315], [4.513, 1.973, 1.116], [4.557, 2.885, 0.087], [5.120, 3.688, 2.856], [6.920, 2.202, 1.939], [2.686, 0.620, 0.129], [5.115, 0.274, -1.029], [4.769, -1.169, -0.261], [6.119, -0.200, 0.234], [2.965, 0.129, 2.733], [3.525, -1.289, 1.992], [5.962, -0.530, 2.746], [4.782, -0.871, 3.955], [5.839, 1.287, 4.360], [4.117, 1.594, 3.864], [5.481, 4.555, 2.302], [4.049, 3.767, 3.043], [5.665, 3.747, 3.799], [7.201, 1.530, 1.129], [7.332, 3.129, 1.539], [7.447, 2.114, 2.889], [2.646, 1.316, -0.709], [1.871, 0.992, 0.750], [2.379, -0.385, -0.161], [3.943, 3.470, 0.538], [1.447, -3.998, 0.157], [1.895, -3.638, -1.175], [1.767, -4.721, -2.010], [1.525, -5.839, -1.195], [1.469, -7.009, -1.582], [1.381, -5.424, 0.080], [3.096, -3.122, -1.145], [0.522, -3.638, 0.607], [2.271, -3.743, 0.824], [1.207, -2.840, -1.456], [-3.945, 1.427, -2.980], [-4.969, 1.642, -1.947], [-5.968, 0.628, -2.174], [-5.545, -0.096, -3.285], [-6.087, -1.061, -3.735], [-4.473, 0.515, -3.861], [-5.488, 2.828, -2.214], [-3.053, 0.995, -2.526], [-3.487, 2.351, -3.333], [-4.605, 1.725, -0.923], [0.776, 1.524, 3.573], [0.474, 0.014, 3.691], [-0.726, -0.039, 4.352], [-0.841, 1.134, 5.102], [-1.585, 1.335, 6.029], [-0.159, 2.156, 4.446], [1.520, -0.405, 4.487], [0.717, 1.792, 2.518], [1.772, 1.837, 3.886], [0.552, -0.501, 2.733], [1.207, 1.080, -5.104], [0.778, -0.010, -6.127], [1.297, -1.211, -5.560], [2.178, -0.895, -4.583], [2.789, -1.772, -3.950], [2.315, 0.457, -4.507], [1.389, 0.323, -7.278], [0.405, 1.267, -4.391], [1.243, 2.049, -5.602], [-0.297, -0.026, -6.310], [-4.668, 2.635, 2.696], [-3.722, 1.636, 3.265], [-3.651, 0.605, 2.296], [-4.682, 0.724, 1.503], [-5.110, -0.189, 0.758], [-5.259, 1.971, 1.611], [-4.266, 1.267, 4.420], [-4.053, 3.445, 2.302], [-5.390, 3.121, 3.353], [-2.746, 2.107, 3.376], [1.541, 3.881, -2.607], [1.364, 5.327, -3.092], [-0.047, 5.480, -3.103], [-0.684, 4.337, -2.733], [-1.892, 4.202, -2.480], [0.253, 3.398, -2.515], [1.747, 5.266, -4.373], [2.096, 3.849, -1.669], [2.118, 3.180, -3.210], [2.038, 5.993, -2.553]],